NSF Grant Enables Engineers and Biologists to Study Migratory Populations
September 8, 2014
The natural, periodic migration patterns of humans, animals, insects and even bacteria provide us with information essential in making decisions that affect our environment, health, finances and safety.
Seeking to better understand these movements, Harvey Mudd Associate Professor of Engineering Chris Clark has teamed with biologist Chris Lowe of California State University, Long Beach and student researchers to develop a mobile, multi-robot sensing system capable of monitoring individuals and populations that share common behaviors resulting in periodic movement patterns. The team uses autonomous underwater vehicles (AUVs; such as the one pictured) to track and model multiple fish with multiple robots. The quantity and resolution of the motion data, of both individuals and populations, will be the first of its kind. Their research is funded by a continuing three-year grant from the National Science Foundation.
Molecular data that have nothing to do with the piece:
┌──
Density functional theory data (wB97M-V/def2-TZVPD) for C10H19N2O11P2ReSb as an isolated structure.

Values from the calculation:
Charge: +2
Relative energy (zero: lowest compared OMol25 entry of this formula, charge and spin), eV: 0.093
Orbital gap (spin up / spin down), eV: 7.148 / 7.250
2S+1: 2
HOMO level (spin up / spin down), eV: -15.39 / -15.12
Electronic energy, eV: -63416.75054

XYZ file:
```
46
Properties=species:S:1:pos:R:3:nbo_charge:R:1
H -3.218 -3.251 1.548 0.563
H -4.320 -2.041 -2.131 0.514
P -2.287 0.660 -1.558 2.421
O -0.838 0.342 -1.259 -1.054
O 5.333 -3.127 0.777 -0.634
H -0.415 3.706 2.871 0.263
C 0.878 3.396 -0.343 -0.967
H -5.227 0.422 -1.296 0.244
H 3.316 1.681 1.573 0.251
C 5.063 -2.770 -0.473 0.774
H 3.893 -1.818 -2.953 0.285
C 3.374 -1.696 -2.016 0.066
H 2.438 1.283 3.073 0.261
H -3.330 2.563 -1.224 0.553
O -3.505 -1.520 -2.152 -0.723
C 2.376 -1.732 1.501 0.771
O -1.188 -2.165 -0.254 -1.010
H -2.876 0.061 -3.542 0.562
H -0.881 2.054 3.344 0.260
H -5.403 -0.999 -0.259 0.258
O 1.158 -1.097 1.759 -0.607
H -1.702 2.851 1.986 0.249
N 1.746 -1.070 -0.664 -0.290
H -4.633 0.453 0.381 0.257
O 5.809 -2.961 -1.385 -0.508
O -1.921 -0.440 1.229 -1.019
H 2.677 2.982 2.599 0.266
C -4.748 -0.164 -0.510 -0.658
C 2.693 -1.657 0.065 0.025
C -3.404 -0.705 -0.995 -0.455
C 2.501 1.972 2.233 -0.962
N 2.166 -1.110 -1.925 -0.272
O -2.618 2.017 -0.858 -0.974
Sb 0.676 1.949 1.178 1.322
H 1.478 3.003 -1.161 0.250
O -3.506 -2.555 0.935 -0.957
H -0.108 3.670 -0.712 0.250
O 3.030 -2.209 2.364 -0.450
O -2.577 0.859 -3.069 -0.957
P -2.483 -1.566 0.326 2.353
C -0.754 2.738 2.507 -0.966
H 1.596 -0.730 -2.667 0.446
C 3.754 -2.079 -0.742 -0.194
H 1.365 4.276 0.074 0.265
H 4.631 -2.920 1.415 0.504
Re -0.010 -0.558 0.410 1.422
```

* * * * *

C29H46P2STi | wB97M-V/def2-TZVPD

## Properties
**<S²>**: 0.76
**E_HOMO (spin up / spin down)**: -10.17 / -10.23 eV
**HOMO-LUMO gap (spin up / spin down)**: 7.03 / 7.25 eV
**2S+1**: 2
**Charge**: +1
**Lowest unoccupied orbital energy (spin up / spin down)**: -0.11536 / -0.10956 Eh
**Energy**: -83342.86718 eV

Atoms and positions in Å:
Ti (0.2173, -0.5715, 1.8294)
C (-0.6877, -2.4316, 2.6104)
C (0.6333, -2.7669, 2.1360)
C (0.8611, -1.1603, 3.8336)
C (-0.5539, -1.4353, 3.6650)
C (1.5855, -1.9658, 2.8642)
C (-1.9689, -3.0420, 2.1578)
H (-1.8974, -3.4380, 1.1366)
H (-2.7949, -2.3201, 2.1831)
H (-2.2658, -3.8846, 2.8005)
C (-1.6768, -0.8934, 4.4781)
H (-2.6396, -1.2502, 4.0964)
H (-1.7104, 0.2046, 4.4883)
H (-1.5983, -1.2315, 5.5209)
C (1.5228, -0.3591, 4.8992)
H (1.6169, -0.9541, 5.8222)
H (0.9793, 0.5573, 5.1501)
H (2.5395, -0.0769, 4.6073)
C (3.0685, -2.0015, 2.7128)
H (3.5420, -2.6612, 3.4567)
H (3.5107, -1.0057, 2.8473)
H (3.3697, -2.3739, 1.7256)
C (0.9752, -3.8133, 1.1344)
H (1.2052, -4.7811, 1.6032)
H (1.8586, -3.5370, 0.5511)
H (0.1483, -3.9920, 0.4421)
C (-1.5153, 0.7711, -4.8782)
C (-1.5610, -0.5677, -4.9132)
C (-0.7890, -1.4767, -5.8225)
C (0.6206, -0.9977, -6.2503)
C (1.5120, -0.5227, -5.1370)
└──
The piece goes on:
“The data will allow biologists to see motion patterns at a fine scale as well as characterize motion of not just one fish, but multiple individuals within a school (population of individuals),” says Clark. “Ecologically, the tracking of fish and monitoring of economically valuable fishes is of major significance.”
Undergraduate researchers in Clark’s Lab for Autonomous and Intelligent Robotics (LAIR) and CSULB marine biologists have long tracked sharks and other food fish off California’s Catalina Island, though until recently, the technology has been limited to tracking individuals within a population. Tracking entire populations—which offers a clearer overall picture of movement patterns—has been challenging, particularly within marine habitats.
Clark and Lowe’s multi-AUV approach leverages periodic mathematical models to track large numbers of fish and see motion patterns in greater detail. The system offers better sensor coverage, greater robustness against failure, high-resolution measurements, online adaptability and the ability to sample in dangerous or remote locations. Clark believes such a system can provide previously unobtainable observations on animal movement and predictive behavior.
“While there have been a variety of new mathematical tools for identifying patterns of movement across varying spatial and temporal scales, the tracking technology itself has limited the rate at which new data can be acquired,” says Clark. “Proposed here is the development and application of new autonomous multi-robot systems equipped with sensors for detection, motion modeling and following of individuals so that periodic behavior patterns of a mobile population can be measured.”
The broader impacts of this multidisciplinary work include a variety of applications, such as monitoring oil spills, securing ports and tracking varied species that follow periodic motion patterns, including insects, birds and whales. The research will be shared with local students in diverse communities, submitted to peer-reviewed journals and posted on lab websites. The models, techniques and data pertaining to fish behavior relative to heavily contaminated habitats will be presented at marine conservation meetings.
The team will collaborate with Los Angeles Port Police as they explore new applications of multi-AUV-based radiation detection and ship hull inspection.
Clark’s teaching and research interests are in autonomous systems, including underwater robots and multi-robot systems. This project builds on Clark’s previous NSF-funded work, in which researchers and students used underwater robots to track sharks and provide data to marine scientists.
See the LAIR website for more information about Clark’s research.